Wednesday, December 31, 2014


**Unrelated to this text: crystal structures**
~~~
Record 1
The following is a theoretical PXRD pattern of CaTm2Tl2Ag2. It was derived from a structure optimized by DFT (PBE), using Cu Kα, 1.54184 Å.

```
CaTm2Tl2Ag2
1.0
2.4685 1.4252 8.8232
-2.4685 1.4252 8.8232
0.0000 -2.8504 8.8232
Ca Tm Tl Ag
1 2 2 2
Cartesian
0.0000 0.0000 0.0000 Ca
0.0000 0.0000 3.5336 Tm
0.0000 0.0000 22.9358 Tm
0.0000 0.0000 6.8416 Tl
0.0000 0.0000 19.6278 Tl
0.0000 0.0000 11.6415 Ag
0.0000 0.0000 14.8279 Ag
```

Principal peaks in the range 2θ from 5° to 70°, most intense first:
| d_spacing | 2theta | I/Imax |
| --- | --- | --- |
| 2.469 | 36.4 | 100 |
| 2.833 | 31.6 | 70 |
| 8.823 | 10.0 | 46 |
| 2.251 | 40.1 | 33 |
| 2.617 | 34.3 | 28 |
| 4.412 | 20.1 | 20 |
| 1.861 | 48.9 | 20 |
| 1.486 | 62.5 | 19 |
| 2.154 | 41.9 | 19 |
| 1.425 | 65.5 | 18 |

=====

Record 2
The following is a theoretical PXRD pattern of Ca3Zn2Ag5. It was derived from a structure optimized by DFT (PBE), using Cu Kα, 1.54184 Å.

```
Ca3Zn2Ag5
1.0
10.3467 0.0000 0.0000
0.0000 10.3467 0.0000
0.0000 0.0000 4.1145
Ca Zn Ag
6 4 10
Cartesian
0.0000 0.0000 0.0000 Ca
1.8112 3.3622 0.0000 Ca
3.3622 8.5355 0.0000 Ca
5.1733 5.1733 0.0000 Ca
6.9845 1.8112 0.0000 Ca
8.5355 6.9845 0.0000 Ca
1.2503 6.4237 0.0000 Zn
3.9230 1.2503 0.0000 Zn
6.4237 9.0964 0.0000 Zn
9.0964 3.9230 0.0000 Zn
0.0000 5.1733 2.0573 Ag
0.6860 8.1157 2.0573 Ag
2.2310 0.6860 2.0573 Ag
2.9423 5.8594 2.0573 Ag
4.4873 2.9423 2.0573 Ag
5.1733 0.0000 2.0573 Ag
5.8594 7.4044 2.0573 Ag
7.4044 4.4873 2.0573 Ag
8.1157 9.6607 2.0573 Ag
9.6607 2.2310 2.0573 Ag
```

Principal peaks in the range 2θ from 5° to 70°, most intense first:
| d_spacing | 2theta | I/Imax |
| --- | --- | --- |
| 2.561 | 35.0 | 100 |
| 2.354 | 38.2 | 67 |
| 2.509 | 35.8 | 47 |
| 4.627 | 19.2 | 43 |
| 2.057 | 44.0 | 33 |
| 2.190 | 41.2 | 31 |
| 4.115 | 21.6 | 27 |
| 1.591 | 58.0 | 26 |
| 2.734 | 32.8 | 24 |
| 2.314 | 38.9 | 21 |

=====

Record 3
The following is a theoretical PXRD pattern of Ca6ZnAg3. It was derived from a structure optimized by DFT (PBE), using Cu Kα, 1.54184 Å.

```
Ca6ZnAg3
1.0
11.3185 0.0000 0.0000
0.0000 4.2815 0.0000
-4.9745 0.0000 12.7024
Ca Zn Ag
12 2 6
Cartesian
-1.6961 1.0704 4.8546 Ca
-3.5963 1.0704 11.4681 Ca
1.1998 3.2111 4.1502 Ca
-0.0923 3.2111 10.0739 Ca
3.3810 3.2111 1.2912 Ca
1.6999 1.0704 7.2441 Ca
4.6440 3.2111 5.4583 Ca
2.9630 1.0704 11.4112 Ca
6.4363 1.0704 2.6285 Ca
5.1442 1.0704 8.5522 Ca
9.9403 3.2111 1.2343 Ca
8.0401 3.2111 7.8478 Ca
3.3243 1.0704 3.6157 Zn
3.0197 3.2111 9.0867 Zn
0.9052 1.0704 1.9689 Ag
-0.4525 3.2111 6.8059 Ag
-0.2023 1.0704 12.2905 Ag
6.5463 3.2111 0.4118 Ag
6.7965 1.0704 5.8965 Ag
5.4388 3.2111 10.7335 Ag
```

Principal peaks in the range 2θ from 5° to 70°, most intense first:
| d_spacing | 2theta | I/Imax |
| --- | --- | --- |
| 2.716 | 33.0 | 100 |
| 2.616 | 34.3 | 67 |
| 2.702 | 33.2 | 54 |
| 4.544 | 19.5 | 52 |
| 6.959 | 12.7 | 47 |
| 2.141 | 42.2 | 46 |
| 3.647 | 24.4 | 43 |
| 2.794 | 32.0 | 40 |
| 2.551 | 35.2 | 29 |
| 2.363 | 38.1 | 28 |

=====

Record 4
~~~
I was thinking about how ridiculously inconsistent I am with posting here.. when I thought, I am consistent with my inconsistent-ness which then makes me consistent. Now I feel better. This is going to be one of those cliché posts about the new year. If that sounds like hell then take a walk right now cause I'm about to get all up into all the usual new year shit ;-)
An old and great friend laughs at me every year, because every year I have to make this PSA. Since I haven't done so on this particular platform before, here it is: The phrase is 'Happy New Year.' We're getting one year, people, not two. Stop saying 'Happy New YearS.' Sure, when you say 'what are you doing for the New Year's Eve?' you're fine. Cause get it, it's the new year's eve. It's possessive. It works. To just say 'Happy New Years' is so, so fucking aggravating. You're welcome. Not that you asked for it.
I've been keeping the following list going at my desk for about a week now. I'm sure every single item is on everybody else's list but I'm going to guess we all probably need a little change for the better. So rock on to all you other similar list people.
1. Blog More
I know, I know.. that phrase is in every single post I make. But the thing is, there are an incredible amount of days I'd love to use this as a creative outlet. I think to myself, 'if I could just sit down and devote half an hour.' My time gets taken up by homework, work, the dog, the boyfriend, the friends, the family and I never quite get to that little bit of time for letting some of this jazz out amongst the world.
  • I'd like to blog more about food. Stephen and I plan our weekends around what we're going to make next. It's an outlet for us and a great team building exercise. We make weird stuff, like eggplant pizza and we make homey yummy stuff, like biscuits with homemade gravy. It's fun, it's silly, and I want to document more of it.
  • I'd like to blog more about my dog. How nuts is that? Pretty freaking nuts. She's a lot like my child, I want to document that. I'd like to do a little feature once a month or so.
  • I'd like to blog more about my friends. Reflections on old times, thoughts about the future, etc. So many of my friends are like my family and I wouldn't be who I am without them. So, here's to you.. when the time for your post comes.
2. Complain Less
Do you ever get to work and the first thing you do is go in a tizzy of complaining? You don't? Come to work with me one day, that's exactly what I do. It's so hard to break old habits, but this is one I'd like to work on. I have a sign above my desk that reads 'not my circus, not my monkeys.' This is something I need to keep tucked in my back pocket to remember when things out of my control are eating away at me.
3. Start a Side Business
I haven't the slightest idea yet as to what to sell.. but once I graduate (hellooooooo May!), I'd like to invest some time into a craft of some sort, grab a booth at a local shop, and make good use of my time. Sarah and I have talked for years of doing this, we're going to put our ideas to use this year!
4. Camp More
To broaden that, be outside more. Discover nature more. Do more than just get a tan in the summer, cause I don't actually tan that well. Take Stella for hikes and to the dog park. Tube on the back of the boat more. Enjoy youth and nature exponentially more than I have thus far in my life.
Now, ladies and gentlemen (do men read blogs?!), the most cliché of cliché things for a new year resolution...
5. Eat Better, Exercise More
# These materials data were left in the piece by mistake
=====
Structure and calculated powder diffraction line list of TbPmMg4 (a DFT-relaxed cell (PBE, Alexandria); Cu Kα).

Structure:
abc: 13.8845 3.4721 6.7976
angles: 90.00 104.12 90.00
Space group C2/m (No. 12)
Unique sites:
Tb: 0.0000 0.0000 0.0000 [2 per cell]
Pm: 0.0000 0.0000 0.5000 [2 per cell]
Mg: 0.1754 0.5000 0.8406 [4 per cell]
Mg: 0.1771 0.5000 0.3357 [4 per cell]

Top 10 peaks for 2θ = 10–90°, in order of rising 2θ:
- d = 6.732 Å, intensity 100.0, (2 0 0)
- d = 3.364 Å, intensity 72.2, (4 0 0)
- d = 3.295 Å, intensity 43.6, (0 0 2)
- d = 2.746 Å, intensity 67.0, (3 1 0)
- d = 2.710 Å, intensity 64.6, (2 0 2)
- d = 2.429 Å, intensity 47.8, (1 1 -2)
- d = 2.285 Å, intensity 28.5, (1 1 2)
- d = 1.970 Å, intensity 23.7, (3 1 2)
- d = 1.648 Å, intensity 33.3, (5 1 2)
- d = 1.462 Å, intensity 19.1, (2 2 2)


Structure and calculated powder diffraction line list of Mg5Cd4Ag (a DFT-relaxed cell (PBE, Alexandria); Cu Kα).

Structure:
abc: 3.4533 3.4533 17.5616
angles: 90.00 90.00 90.00
Space group P4/mmm (No. 123)
Unique sites:
Mg: 0.0000 0.0000 0.0000 [1 per cell]
Mg: 0.0000 0.0000 0.2037 [2 per cell]
Mg: 0.0000 0.0000 0.4104 [2 per cell]
Cd: 0.5000 0.5000 0.1017 [2 per cell]
Cd: 0.5000 0.5000 0.3066 [2 per cell]
Ag: 0.5000 0.5000 0.5000 [1 per cell]

Top 10 peaks for 2θ = 10–90°, in order of rising 2θ:
- d = 3.512 Å, intensity 26.3, (0 0 5)
- d = 3.453 Å, intensity 50.9, (1 0 0)
- d = 2.462 Å, intensity 100.0, (1 0 5)
- d = 2.442 Å, intensity 50.0, (1 1 0)
- d = 2.005 Å, intensity 21.7, (1 1 5)
- d = 1.727 Å, intensity 16.7, (2 0 0)
- d = 1.565 Å, intensity 9.2, (1 0 10)
- d = 1.426 Å, intensity 15.6, (1 1 10)
- d = 1.414 Å, intensity 32.6, (2 1 5)
- d = 1.231 Å, intensity 9.5, (2 0 10)


Structure and calculated powder diffraction line list of BeH4NCl3 (a DFT-relaxed cell (PBE, Alexandria); Cu Kα).

Structure:
abc: 5.4516 5.6288 5.8923
angles: 74.43 74.97 78.08
Space group P1 (No. 1)
Unique sites:
Be: 0.0000 0.0000 0.0000 [1 per cell]
H: 0.2760 0.4087 0.5419 [1 per cell]
H: 0.3925 0.5496 0.2496 [1 per cell]
H: 0.5398 0.5533 0.4664 [1 per cell]
H: 0.5592 0.2821 0.3861 [1 per cell]
N: 0.4419 0.4481 0.4117 [1 per cell]
Cl: 0.3078 0.7813 0.9036 [1 per cell]
Cl: 0.7968 0.9189 0.3243 [1 per cell]
Cl: 0.9067 0.3106 0.7866 [1 per cell]

Top 10 peaks for 2θ = 10–90°, in order of rising 2θ:
- d = 4.286 Å, intensity 17.7, (1 0 1)
- d = 4.046 Å, intensity 22.9, (1 1 0)
- d = 3.972 Å, intensity 100.0, (1 1 1)
- d = 3.484 Å, intensity 30.7, (1 -1 0)
- d = 3.442 Å, intensity 18.0, (1 0 -1)
- d = 2.952 Å, intensity 65.4, (1 -1 1)
- d = 2.840 Å, intensity 25.3, (1 1 -1)
- d = 2.770 Å, intensity 32.5, (0 0 2)
- d = 2.661 Å, intensity 22.6, (0 2 1)
- d = 2.604 Å, intensity 18.7, (2 0 0)


Structure and calculated powder diffraction line list of Be2MoH6 (a DFT-relaxed cell (PBE, Alexandria); Cu Kα).

Structure:
abc: 6.2447 6.2447 6.2447
angles: 90.00 90.00 90.00
Space group Fm-3m (No. 225)
Unique sites:
Be: 0.2500 0.2500 0.2500 [8 per cell]
=====
What makes this point different for me is that in no other set of new year goals has this ever been listed for me. I was never interested in doing this. It's hard to ignore the fact that eating and exercise play a tremendous role in our health that I've been ignoring too long. My goal for the year is a 5k. Sarah and I will hopefully get the first one down around April or May and then continue from there. Here's to hoping focusing on me makes the rest fall into place.
There are things from this past year that I'd like to leave behind, to not give the light of day to anymore. Here's to leaving that behind and the following helping me realize that: 'Whatever happened over this past year, be thankful for where it brought you. Where you are is where you're meant to be.'
Per the usual, here is a photo dump for those who hate to read :-)